[Listing]
Entry 1:
Below is a relaxed structure of Sr3TiSi4O15, with properties calculated at the PBE level.

The total energy after the MP2020 corrections is -353.58 eV per cell. As for the raw total energy: -332.97 eV per cell. For the formation enthalpy at 0 K, the calculation gives -2952 meV/atom.

Lattice parameters (Å, degrees): 7.8201 7.7031 11.2433 90.00 103.33 90.00
Fractional positions:
Sr  0.1041  0.2500  0.2406
Sr  0.1450  0.7500  0.3939
Sr  0.2076  0.2500  0.9120
Sr  0.7924  0.7500  0.0880
Sr  0.8550  0.2500  0.6061
Sr  0.8959  0.7500  0.7594
Ti  0.5000  0.0000  0.5000
Ti  0.5000  0.5000  0.5000
Si  0.2437  0.5393  0.6997
Si  0.2437  0.9607  0.6997
Si  0.3747  0.5459  0.1984
Si  0.3747  0.9541  0.1984
Si  0.6253  0.0459  0.8016
Si  0.6253  0.4541  0.8016
Si  0.7563  0.0393  0.3003
Si  0.7563  0.4607  0.3003
O  0.0687  0.0416  0.7300
O  0.0687  0.4584  0.7300
O  0.0699  0.7500  0.0000
O  0.0957  0.2500  0.4777
O  0.2369  0.7500  0.7261
O  0.2495  0.0619  0.0906
O  0.2495  0.4381  0.0906
O  0.2736  0.5100  0.5613
O  0.2736  0.9900  0.5613
O  0.3090  0.7500  0.1909
O  0.3536  0.0274  0.3312
O  0.3536  0.4726  0.3312
O  0.4130  0.0438  0.8036
O  0.4130  0.4562  0.8036
O  0.4804  0.7500  0.4798
O  0.5196  0.2500  0.5202
O  0.5870  0.5438  0.1964
O  0.5870  0.9562  0.1964
O  0.6464  0.5274  0.6688
O  0.6464  0.9726  0.6688
O  0.6910  0.2500  0.8091
O  0.7264  0.0100  0.4387
O  0.7264  0.4900  0.4387
O  0.7505  0.5619  0.9094
O  0.7505  0.9381  0.9094
O  0.7631  0.2500  0.2739
O  0.9043  0.7500  0.5223
O  0.9301  0.2500  0.0000
O  0.9313  0.5416  0.2700
O  0.9313  0.9584  0.2700

***

Entry 2:
Below is a relaxed structure of Sr2TiSi2O8, with properties calculated at the PBE level.

The total energy after the MP2020 corrections is -212.46 eV per cell. As for the raw total energy: -201.46 eV per cell. For the formation enthalpy at 0 K, the calculation gives -3425 meV/atom.

Lattice parameters (Å, degrees): 8.4882 8.4882 5.1087 90.00 90.00 90.00
Fractional positions:
Sr  0.1734  0.3266  0.0000
Sr  0.3266  0.8266  0.0000
Sr  0.6734  0.1734  0.0000
Sr  0.8266  0.6734  0.0000
Ti  0.0000  0.0000  0.5565
Ti  0.5000  0.5000  0.5565
Si  0.1294  0.6294  0.5327
Si  0.3706  0.1294  0.5327
Si  0.6294  0.8706  0.5327
Si  0.8706  0.3706  0.5327
O  0.0000  0.0000  0.2223
O  0.0000  0.5000  0.6586
O  0.0806  0.7947  0.6758
O  0.1282  0.6282  0.2186
O  0.2053  0.0806  0.6758
O  0.2947  0.5806  0.6758
O  0.3718  0.1282  0.2186
O  0.4194  0.2947  0.6758
O  0.5000  0.0000  0.6586
O  0.5000  0.5000  0.2223
O  0.5806  0.7053  0.6758
O  0.6282  0.8718  0.2186
O  0.7053  0.4194  0.6758
O  0.7947  0.9194  0.6758
O  0.8718  0.3718  0.2186
O  0.9194  0.2053  0.6758

***

Entry 3:
Below is a relaxed structure of SrY2Si3O10, with properties calculated at the PBE level.

The total energy after the MP2020 corrections is -275.71 eV per cell. As for the raw total energy: -261.97 eV per cell. For the formation enthalpy at 0 K, the calculation gives -3592 meV/atom.

Lattice parameters (Å, degrees): 6.8391 6.9806 9.3928 72.49 86.20 87.80
Fractional positions:
Sr  0.0992  0.4068  0.3181
Sr  0.9008  0.5932  0.6819
Y  0.3407  0.2365  0.6904
Y  0.3589  0.7465  0.9912
Y  0.6411  0.2535  0.0088
Y  0.6593  0.7635  0.3096
Si  0.1658  0.8585  0.3308
Si  0.1733  0.2268  0.0419
Si  0.3774  0.7548  0.6256
Si  0.6226  0.2452  0.3744
Si  0.8267  0.7732  0.9581
Si  0.8342  0.1415  0.6692
O  0.0299  0.2764  0.6205
O  0.0336  0.7106  0.0331
O  0.1192  0.0864  0.2201
O  0.2393  0.8853  0.4869
O  0.2682  0.5446  0.7128
O  0.3184  0.4001  0.0643
O  0.3224  0.1031  0.9536
O  0.3311  0.7421  0.2492
O  0.3816  0.8929  0.7400
O  0.4117  0.2914  0.4492
O  0.5883  0.7086  0.5508
O  0.6184  0.1071  0.2600
O  0.6689  0.2579  0.7508
O  0.6776  0.8969  0.0464
O  0.6816  0.5999  0.9357
O  0.7318  0.4554  0.2872
O  0.7607  0.1147  0.5131
O  0.8808  0.9136  0.7799
O  0.9664  0.2894  0.9669
O  0.9701  0.7236  0.3795

***

Entry 4:

[To do]
Next, type out the lines further above up to the one that holds "0.5196", that line included.

[Response]
Entry 1:
Below is a relaxed structure of Sr3TiSi4O15, with properties calculated at the PBE level.

The total energy after the MP2020 corrections is -353.58 eV per cell. As for the raw total energy: -332.97 eV per cell. For the formation enthalpy at 0 K, the calculation gives -2952 meV/atom.

Lattice parameters (Å, degrees): 7.8201 7.7031 11.2433 90.00 103.33 90.00
Fractional positions:
Sr  0.1041  0.2500  0.2406
Sr  0.1450  0.7500  0.3939
Sr  0.2076  0.2500  0.9120
Sr  0.7924  0.7500  0.0880
Sr  0.8550  0.2500  0.6061
Sr  0.8959  0.7500  0.7594
Ti  0.5000  0.0000  0.5000
Ti  0.5000  0.5000  0.5000
Si  0.2437  0.5393  0.6997
Si  0.2437  0.9607  0.6997
Si  0.3747  0.5459  0.1984
Si  0.3747  0.9541  0.1984
Si  0.6253  0.0459  0.8016
Si  0.6253  0.4541  0.8016
Si  0.7563  0.0393  0.3003
Si  0.7563  0.4607  0.3003
O  0.0687  0.0416  0.7300
O  0.0687  0.4584  0.7300
O  0.0699  0.7500  0.0000
O  0.0957  0.2500  0.4777
O  0.2369  0.7500  0.7261
O  0.2495  0.0619  0.0906
O  0.2495  0.4381  0.0906
O  0.2736  0.5100  0.5613
O  0.2736  0.9900  0.5613
O  0.3090  0.7500  0.1909
O  0.3536  0.0274  0.3312
O  0.3536  0.4726  0.3312
O  0.4130  0.0438  0.8036
O  0.4130  0.4562  0.8036
O  0.4804  0.7500  0.4798
O  0.5196  0.2500  0.5202